4. Realizing the business value

For those businesses that undergo modernization, the value of their initiative has an impact well beyond their ability to drive innovation. Let’s take a closer look at what can be achieved:

Reduced IT budgets

Aging IT hardware is not only draining on resources, but it can also make supporting operations efficiently an impossible task. Through IT modernization, businesses can cut budgets by optimizing hardware utilization and reducing costs related to licensing. By ensuring higher levels of IT security and performance, a reduction of unplanned outages can be achieved along with improvement in data protection. Modernizing enables enhanced team productivity and IT agility by improving procurement and delivery of IT resources. In addition, efficiency of IT teams can be increased by minimizing the time needed for daily IT infrastructure, security, and support work.

Minimized technical debt

Along with IT budgets, organizations that modernize are able to reduce technical debt. Research shows that, through IT modernization, businesses can significantly reduce technical debt. Where a large part of organizational debt could have been accrued from old, inefficient environments, adopting newer, modern systems and processes enables businesses to minimize revenue and productivity losses.

Improved IT staff efficiencies

Without IT modernization, teams tend to spend much more time on day-to-day operations such  as supporting, managing, and securing IT infrastructure. Managing siloed systems, along with having to respond more frequently to issues and outages, can result in insufficient security as well as IT operations inadequate for meeting customer demand. Modernizing enables staff to spend more time on more valuable projects and managers to better leverage the skillset of their teams.

Increased IT agility

Dated IT systems and processes can result in cumbersome operations that fail to meet the needs of a growing business. As strategies change, IT departments need to provide the resources required by the business and its customers. From storage to networking, communications to servers, outdated IT can hold back digital resource delivery to the business—impacting application development efforts. With an infrastructure that requires less staff time for faster delivery, organizations can roll out new features and functionality. Application development teams can create more value for the business, with more time to focus on innovating with higher quality.

== Inserted here: materials data ==
[1]
# K2SnH6O6
Theoretical powder X-ray diffraction pattern, Cu Kα, 1.54184 Å. Input: a PBE-relaxed structure.

Largest 10 diffraction maxima, by angle, 5° ≤ 2θ ≤ 70°:
d (Å), 2θ (°), I (rel.)
5.264, 16.8, 100
4.276, 20.8, 29
4.231, 21.0, 34
3.340, 26.7, 71
2.782, 32.2, 27
2.622, 34.2, 100
2.138, 42.3, 41
1.928, 47.1, 21
1.801, 50.7, 21
1.755, 52.1, 26

Cell and atoms:
Unit cell a=6.6802 b=6.6802 c=12.6936 alpha=90.00 beta=90.00 gamma=120.00
Space group R-3 (No. 148, hexagonal axes)
Inequivalent atoms, fractional coordinates:
K 0.0000 0.0000 0.2092 x6
Sn 0.0000 0.0000 0.5000 x3
H 0.0066 0.5629 0.3043 x18
O 0.0410 0.4611 0.2605 x18

=====

[2]
# SmCuSn
Theoretical powder X-ray diffraction pattern, Cu Kα, 1.54184 Å. Input: a PBE-relaxed structure.

Largest 10 diffraction maxima, by angle, 5° ≤ 2θ ≤ 70°:
d (Å), 2θ (°), I (rel.)
3.974, 22.4, 7
3.509, 25.4, 13
2.722, 32.9, 100
2.294, 39.3, 66
2.111, 42.8, 13
1.868, 48.7, 7
1.754, 52.1, 27
1.449, 64.3, 18
1.399, 66.9, 6
1.394, 67.2, 25

Cell and atoms:
Unit cell a=4.5889 b=4.5889 c=7.4733 alpha=90.00 beta=90.00 gamma=120.00
Space group P6_3mc (No. 186)
Inequivalent atoms, fractional coordinates:
Sm 0.0000 0.0000 0.0000 x2
Cu 0.3333 0.6667 0.1864 x2
Sn 0.3333 0.6667 0.7687 x2

=====

[3]
# CeMg6Cd
Theoretical powder X-ray diffraction pattern, Cu Kα, 1.54184 Å. Input: a PBE-relaxed structure.

Largest 10 diffraction maxima, by angle, 5° ≤ 2θ ≤ 70°:
d (Å), 2θ (°), I (rel.)
6.047, 14.6, 69
5.127, 17.3, 51
3.911, 22.7, 52
2.828, 31.6, 44
2.714, 33.0, 21
2.604, 34.4, 59
2.563, 35.0, 37
2.476, 36.3, 100
1.899, 47.9, 27
1.463, 63.6, 18

Cell and atoms:
Unit cell a=5.1267 b=6.3988 c=12.0943 alpha=90.00 beta=90.00 gamma=90.00
Space group Amm2 (No. 38)
Inequivalent atoms, fractional coordinates:
Ce 0.0000 0.0000 0.0000 x2
Mg 0.0000 0.2479 0.7444 x4
Mg 0.5000 0.0000 0.1604 x2
Mg 0.5000 0.0000 0.6308 x2
Mg 0.5000 0.2474 0.8931 x4
Cd 0.0000 0.0000 0.4658 x2

=====

[4]
# Ag2P2H2O7
Theoretical powder X-ray diffraction pattern, Cu Kα, 1.54184 Å. Input: a PBE-relaxed structure.

Largest 10 diffraction maxima, by angle, 5° ≤ 2θ ≤ 70°:
d (Å), 2θ (°), I (rel.)
6.059, 14.6, 22
5.173, 17.1, 30
3.514, 25.3, 51
3.116, 28.6, 55
3.029, 29.5, 100
2.790, 32.1, 32
2.587, 34.7, 49
2.344, 38.4, 26
2.332, 38.6, 40
1.873, 48.6, 19

Cell and atoms:
Unit cell a=7.1537 b=12.4645 c=28.1114 alpha=90.00 beta=90.00 gamma=90.00
Space group Fddd (No. 70, origin choice 2)
Inequivalent atoms, fractional coordinates:
Ag 0.0245 0.2678 0.4245 x32
P 0.0326 0.0191 0.3028 x32
H 0.1250 0.1250 0.5115 x16
H 0.1250 0.3026 0.6250 x16
O 0.0300 0.0449 0.7413 x32
O 0.0713 0.2855 0.3338 x32
O 0.1092 0.3053 0.6677 x32
O 0.1250 0.1250 0.2787 x16

=====

[5]
# ScAlCu
Theoretical powder X-ray diffraction pattern, Cu Kα, 1.54184 Å. Input: a PBE-relaxed structure.

Largest 10 diffraction maxima, by angle, 5° ≤ 2θ ≤ 70°:
d (Å), 2θ (°), I (rel.)
8.388, 10.5, 46
4.194, 21.2, 25
2.381, 37.8, 75
2.270, 39.7, 21
2.233, 40.4, 35
2.206, 40.9, 87
2.191, 41.2, 100

Enhanced IT performance and security

[Misplaced crystal structures]
┌──
Calculated X-ray diffraction stick pattern of YScP2O8 for Cu Kα, from a structure optimized by DFT (GGA-PBE).
Kinematic intensities with the Lorentz-polarization factor, no thermal factor.

The 12 most intense peaks (2θ from 10° to 90°), in order of rising 2θ:
2θ (°)  intensity  index
13.3  43  0 0 1
19.8  100  1 0 0
23.9  85  0 1 1
33.5  90  0 1 2
34.6  89  1 1 0
37.2  39  1 1 1
44.3  45  1 1 2
45.5  18  1 0 3
48.9  63  2 0 2
61.3  28  1 2 2
66.7  18  1 1 4
73.0  21  2 2 0

Crystal structure
```
data_YScP2O8
_cell_length_a 5.1819
_cell_length_b 5.1819
_cell_length_c 6.6692
_cell_angle_alpha 90.00
_cell_angle_beta 90.00
_cell_angle_gamma 120.00
_symmetry_space_group_name_H-M 'P -3 m 1'
_symmetry_Int_Tables_number 164
_symmetry_space_group_name_Hall '-P 3 2"'
loop_
_atom_site_label
_atom_site_type_symbol
_atom_site_fract_x
_atom_site_fract_y
_atom_site_fract_z
_atom_site_occupancy
Y1 Y 0.0000 0.0000 0.0000 1
Sc1 Sc 0.0000 0.0000 0.5000 1
P1 P 0.3333 0.6667 0.2083 1
O1 O 0.1702 0.3405 0.2866 1
O2 O 0.3333 0.6667 0.9800 1
```

=====

Calculated X-ray diffraction stick pattern of CaOs4Pt for Cu Kα, from a structure optimized by DFT (GGA-PBE).
Kinematic intensities with the Lorentz-polarization factor, no thermal factor.

The 12 most intense peaks (2θ from 10° to 90°), in order of rising 2θ:
2θ (°)  intensity  index
20.8  33  1 1 1
24.0  6  2 0 0
34.3  14  2 2 0
40.4  100  3 1 1
42.3  56  2 2 2
49.2  13  4 0 0
54.0  8  3 3 1
65.5  32  3 3 3
72.2  29  4 4 0
76.1  6  5 3 1
86.1  12  5 3 3
87.4  22  6 2 2

Crystal structure
└──

Businesses that fail to upgrade their IT environments could face significant issues relating to IT performance and security. Modernizing IT not only minimizes the associated costs by enabling businesses to reduce unplanned outages, but it also decreases productivity expenses on average by 78% - and revenue loss by 59%.

Meanwhile, data protection initiatives can ensure a more robust environment, with better security  protocols that limit the risk involved in unplanned outages. As complex changes transform business and product consumption models, your organization needs to be able to carefully balance support and maintenance of legacy platforms with innovation.

HSO specializes in helping companies navigate that change. We have the expertise to modernize your  infrastructure and become more responsive to demand with faster release cycles, improved product  management, and agile development methodologies.

Investing in new technology has demonstrated business benefits as well as shortand long-term operational advantages.

While some organizations strive to achieve full digital transformation, others might simply need to modernize. Strategy should all come down to individual business objectives. In either case, investing in modern IT presents a wealth of potential advantages and new opportunities. A 2022 survey of companies and CEOs reported the following benefits: